Wanted:
Print everything underneath without additions.

Contents:
/*
# 1
Molecular formula: C51H41F10N7P2W
Method: DFT, ωB97M-V/def2-TZVPD

The charge is +2. The total energy comes out at -111547.572 eV. The calculation puts the strongest force on any atom at 2.303 eV/A.

Each line ends with the Mulliken charge.
Cartesian coordinates (Å):
1 W -0.01291 -0.10420 0.01322  1.818
2 C 0.04784 3.26426 0.49625  -1.012
3 N 0.79863 2.14495 -0.11096  0.351
4 C 2.11051 2.23988 0.56196  -1.294
5 C 2.94902 1.06404 0.26743  -1.423
6 N 2.10628 -0.13962 0.24273  1.588
7 C 3.03710 -1.22773 0.21475  -0.225
8 C 3.55269 -1.82062 1.36147  -0.171
9 F 3.08596 -1.46894 2.55701  -0.332
10 C 4.54869 -2.77361 1.31952  0.400
11 F 4.97909 -3.33656 2.43996  -0.321
12 C 5.08272 -3.15062 0.10492  0.652
13 F 6.02462 -4.07185 0.05114  -0.297
14 C 4.61329 -2.56969 -1.05445  0.208
15 F 5.10221 -2.94114 -2.22950  -0.310
16 C 3.61405 -1.62565 -0.98455  -0.755
17 F 3.17309 -1.09480 -2.12827  -0.317
18 C 0.89618 2.43983 -1.56623  -1.388
19 C 1.18808 1.25056 -2.43042  -1.689
20 N 0.33450 0.09957 -2.10108  1.939
21 C 0.17192 -0.78063 -3.19312  0.431
22 C -0.82351 -1.76732 -3.22322  -1.316
23 F -1.59040 -1.93582 -2.16089  0.335
24 C -1.04421 -2.65189 -4.24941  -0.267
25 F -2.01799 -3.54366 -4.14845  -0.300
26 C -0.24306 -2.60543 -5.36671  0.741
27 F -0.42214 -3.44129 -6.36392  -0.299
28 C 0.77565 -1.68281 -5.39257  0.165
29 F 1.59008 -1.64389 -6.43467  -0.289
30 C 0.98065 -0.80486 -4.34524  0.040
31 F 2.03666 -0.00543 -4.48663  -0.407
32 H 0.59146 4.19573 0.32977  0.543
33 H -0.92766 3.37527 0.05466  -0.001
34 H -0.04041 3.10064 1.56445  0.156
35 H 2.60427 3.16667 0.26589  0.521
36 H 1.91301 2.29849 1.62080  0.861
37 H 3.48677 1.18135 -0.67194  0.597
38 H 3.71326 0.98202 1.04304  0.609
39 H -0.06010 2.83365 -1.87472  0.287
40 H 1.64579 3.21871 -1.73275  0.295
41 H 0.99992 1.58725 -3.44503  1.389
42 H 2.23077 0.96017 -2.38215  0.266
43 N 0.09218 -2.14736 2.52515  0.302
44 P -0.40699 -0.50674 2.47867  2.617
45 C 0.49418 0.14893 3.92536  0.622
46 C 1.71899 0.79320 3.77090  -0.453
47 C 2.45389 1.19721 4.87709  -1.002
48 C 1.97232 0.94869 6.15308  -0.771
49 C 0.75891 0.29151 6.32185  -0.809
50 C 0.01641 -0.10476 5.21635  -0.858
51 C -2.09473 -0.59808 3.15578  -0.057
52 C -2.74054 -1.79635 3.44389  -0.534
53 C -4.02226 -1.78179 3.97497  -0.765
54 C -4.66988 -0.57404 4.21939  -0.832
55 C -4.01653 0.62588 3.96165  -0.755
56 C -2.72761 0.60401 3.44500  -0.780
57 C 0.57098 -2.81328 1.43790  -0.039
58 C 1.09269 -4.10104 1.59009  -0.838
59 C 1.46844 -4.81493 0.48139  -1.222
60 C 1.33353 -4.23633 -0.78366  -1.232
61 C 0.86967 -2.95874 -0.86096  -0.067
62 N 0.48049 -2.22818 0.21835  0.602
63 H 0.31049 -2.55412 3.41772  0.454
64 H 2.12426 0.92865 2.78164  0.401
65 H 3.40916 1.69326 4.74417  0.508
66 H 2.54394 1.26183 7.01966  0.434
67 H 0.38188 0.09348 7.31792  0.472
68 H -0.93804 -0.59501 5.36808  0.549
69 H -2.25128 -2.74461 3.25328  0.415
70 H -4.51818 -2.72012 4.20389  0.480
71 H -5.67467 -0.57033 4.63035  0.423
72 H -4.49921 1.57482 4.17675  0.513
73 H -2.19171 1.53158 3.30450  0.673
74 H 1.18016 -4.51704 2.58777  0.585
75 H 1.86952 -5.81740 0.59120  0.487
76 H 1.61258 -4.76472 -1.68816  0.623
77 H 0.80302 -2.46572 -1.81598  -0.126
78 N -3.48560 0.15465 -0.07442  0.794
79 P -2.27191 1.31051 -0.27269  1.070
80 C -3.14909 2.70099 0.59270  1.645
81 C -2.75985 3.34490 1.76357  -0.282
82 C -3.56605 4.31357 2.34863  -0.926
83 C -4.78005 4.65378 1.77112  -0.871
84 C -5.18200 4.02072 0.60193  -0.849
85 C -4.37162 3.06130 0.01303  -1.465
86 C -2.50948 1.87992 -2.00123  0.937
87 C -3.04702 1.02365 -2.95661  -0.718
88 C -3.22911 1.45724 -4.26533  -0.626
89 C -2.87980 2.74985 -4.62975  -0.807
90 C -2.38284 3.62519 -3.67032  -0.717
91 C -2.21121 3.19630 -2.36217  -0.633
92 C -3.39002 -1.20316 0.07694  -0.359
93 C -4.57387 -1.94832 0.02826  -0.930
94 C -4.51129 -3.30953 0.15309  -1.036
95 C -3.26037 -3.90211 0.31420  -1.277
96 C -2.15574 -3.09366 0.35362  -0.845
97 N -2.18715 -1.74650 0.26522  1.730
98 H -4.42326 0.50311 -0.15021  0.515
*/

Response:
# 1
Molecular formula: C51H41F10N7P2W
Method: DFT, ωB97M-V/def2-TZVPD

The charge is +2. The total energy comes out at -111547.572 eV. The calculation puts the strongest force on any atom at 2.303 eV/A.

Each line ends with the Mulliken charge.
Cartesian coordinates (Å):
1 W -0.01291 -0.10420 0.01322  1.818
2 C 0.04784 3.26426 0.49625  -1.012
3 N 0.79863 2.14495 -0.11096  0.351
4 C 2.11051 2.23988 0.56196  -1.294
5 C 2.94902 1.06404 0.26743  -1.423
6 N 2.10628 -0.13962 0.24273  1.588
7 C 3.03710 -1.22773 0.21475  -0.225
8 C 3.55269 -1.82062 1.36147  -0.171
9 F 3.08596 -1.46894 2.55701  -0.332
10 C 4.54869 -2.77361 1.31952  0.400
11 F 4.97909 -3.33656 2.43996  -0.321
12 C 5.08272 -3.15062 0.10492  0.652
13 F 6.02462 -4.07185 0.05114  -0.297
14 C 4.61329 -2.56969 -1.05445  0.208
15 F 5.10221 -2.94114 -2.22950  -0.310
16 C 3.61405 -1.62565 -0.98455  -0.755
17 F 3.17309 -1.09480 -2.12827  -0.317
18 C 0.89618 2.43983 -1.56623  -1.388
19 C 1.18808 1.25056 -2.43042  -1.689
20 N 0.33450 0.09957 -2.10108  1.939
21 C 0.17192 -0.78063 -3.19312  0.431
22 C -0.82351 -1.76732 -3.22322  -1.316
23 F -1.59040 -1.93582 -2.16089  0.335
24 C -1.04421 -2.65189 -4.24941  -0.267
25 F -2.01799 -3.54366 -4.14845  -0.300
26 C -0.24306 -2.60543 -5.36671  0.741
27 F -0.42214 -3.44129 -6.36392  -0.299
28 C 0.77565 -1.68281 -5.39257  0.165
29 F 1.59008 -1.64389 -6.43467  -0.289
30 C 0.98065 -0.80486 -4.34524  0.040
31 F 2.03666 -0.00543 -4.48663  -0.407
32 H 0.59146 4.19573 0.32977  0.543
33 H -0.92766 3.37527 0.05466  -0.001
34 H -0.04041 3.10064 1.56445  0.156
35 H 2.60427 3.16667 0.26589  0.521
36 H 1.91301 2.29849 1.62080  0.861
37 H 3.48677 1.18135 -0.67194  0.597
38 H 3.71326 0.98202 1.04304  0.609
39 H -0.06010 2.83365 -1.87472  0.287
40 H 1.64579 3.21871 -1.73275  0.295
41 H 0.99992 1.58725 -3.44503  1.389
42 H 2.23077 0.96017 -2.38215  0.266
43 N 0.09218 -2.14736 2.52515  0.302
44 P -0.40699 -0.50674 2.47867  2.617
45 C 0.49418 0.14893 3.92536  0.622
46 C 1.71899 0.79320 3.77090  -0.453
47 C 2.45389 1.19721 4.87709  -1.002
48 C 1.97232 0.94869 6.15308  -0.771
49 C 0.75891 0.29151 6.32185  -0.809
50 C 0.01641 -0.10476 5.21635  -0.858
51 C -2.09473 -0.59808 3.15578  -0.057
52 C -2.74054 -1.79635 3.44389  -0.534
53 C -4.02226 -1.78179 3.97497  -0.765
54 C -4.66988 -0.57404 4.21939  -0.832
55 C -4.01653 0.62588 3.96165  -0.755
56 C -2.72761 0.60401 3.44500  -0.780
57 C 0.57098 -2.81328 1.43790  -0.039
58 C 1.09269 -4.10104 1.59009  -0.838
59 C 1.46844 -4.81493 0.48139  -1.222
60 C 1.33353 -4.23633 -0.78366  -1.232
61 C 0.86967 -2.95874 -0.86096  -0.067
62 N 0.48049 -2.22818 0.21835  0.602
63 H 0.31049 -2.55412 3.41772  0.454
64 H 2.12426 0.92865 2.78164  0.401
65 H 3.40916 1.69326 4.74417  0.508
66 H 2.54394 1.26183 7.01966  0.434
67 H 0.38188 0.09348 7.31792  0.472
68 H -0.93804 -0.59501 5.36808  0.549
69 H -2.25128 -2.74461 3.25328  0.415
70 H -4.51818 -2.72012 4.20389  0.480
71 H -5.67467 -0.57033 4.63035  0.423
72 H -4.49921 1.57482 4.17675  0.513
73 H -2.19171 1.53158 3.30450  0.673
74 H 1.18016 -4.51704 2.58777  0.585
75 H 1.86952 -5.81740 0.59120  0.487
76 H 1.61258 -4.76472 -1.68816  0.623
77 H 0.80302 -2.46572 -1.81598  -0.126
78 N -3.48560 0.15465 -0.07442  0.794
79 P -2.27191 1.31051 -0.27269  1.070
80 C -3.14909 2.70099 0.59270  1.645
81 C -2.75985 3.34490 1.76357  -0.282
82 C -3.56605 4.31357 2.34863  -0.926
83 C -4.78005 4.65378 1.77112  -0.871
84 C -5.18200 4.02072 0.60193  -0.849
85 C -4.37162 3.06130 0.01303  -1.465
86 C -2.50948 1.87992 -2.00123  0.937
87 C -3.04702 1.02365 -2.95661  -0.718
88 C -3.22911 1.45724 -4.26533  -0.626
89 C -2.87980 2.74985 -4.62975  -0.807
90 C -2.38284 3.62519 -3.67032  -0.717
91 C -2.21121 3.19630 -2.36217  -0.633
92 C -3.39002 -1.20316 0.07694  -0.359
93 C -4.57387 -1.94832 0.02826  -0.930
94 C -4.51129 -3.30953 0.15309  -1.036
95 C -3.26037 -3.90211 0.31420  -1.277
96 C -2.15574 -3.09366 0.35362  -0.845
97 N -2.18715 -1.74650 0.26522  1.730
98 H -4.42326 0.50311 -0.15021  0.515